Return the part of the lines further below that starts with the line with "Be3Au5 from" and stops after the one with "5.73 g/cm³".

<<<
Entry 1:
Here is a relaxed structure of Be3Au5 from Alexandria. Energies are from PBE-GGA.

abc: 2.927 2.927 13.386
angles: 90.00 90.00 90.00
Positions (direct):
Au (0.000, 0.000, 0.000)
Au (0.500, 0.500, 0.609)
Au (0.000, 0.000, 0.221)
Au (0.000, 0.000, 0.779)
Au (0.500, 0.500, 0.391)
Be (0.500, 0.500, 0.117)
Be (0.500, 0.500, 0.883)
Be (0.000, 0.000, 0.500)

Values from the calculation:
- Mass density: 14.65 g/cm³
- N(E_F): 1.23 states/eV/cell
- Symmetry: P4/mmm (123)
- Total energy: -28.7 eV for the cell shown
- E_form: -3.14 kcal/mol of atoms
- Distance to the lowest polymorph of the same formula: 0 meV/atom



Entry 2:
Here is a relaxed structure of CeSmThSn from Alexandria. Energies are from PBE-GGA.

abc: 5.485 5.485 5.485
angles: 60.00 60.00 60.00
Site moments in Bohr magnetons follow the coordinates.
Positions (direct):
Sn (0.250, 0.250, 0.250)  -0.01
Th (0.750, 0.750, 0.750)  0.25
Sm (0.500, 0.500, 0.500)  0.06
Ce (0.000, 0.000, 0.000)  0.62

Values from the calculation:
- Mass density: 9.12 g/cm³
- N(E_F): 8.89 states/eV/cell
- Symmetry: F-43m (216)
- Total energy: -22.7 eV for the cell shown
- E_form: -3.46 kcal/mol of atoms



Entry 3:
Here is a relaxed structure of FeHg2Ru from Alexandria. Energies are from PBE-GGA.

abc: 4.089 4.090 4.095
angles: 90.00 90.00 90.00
Site moments in Bohr magnetons follow the coordinates.
Positions (direct):
Fe (0.000, 0.500, 0.500)  3.01
Hg (0.000, 0.000, 0.000)  -0.02
Hg (0.500, 0.500, 0.000)  -0.02
Ru (0.500, 0.000, 0.500)  0.89

Values from the calculation:
- Mass density: 13.53 g/cm³
- N(E_F): 2.64 states/eV/cell
- Symmetry: P4/mmm (123)
- Total energy: -16.3 eV for the cell shown
- E_form: 11.71 kcal/mol of atoms
- Distance to the lowest polymorph of the same formula: 175 meV/atom



Entry 4:
Here is a relaxed structure of ThAl8Fe4 from Alexandria. Energies are from PBE-GGA.

abc: 5.038 6.707 6.707
angles: 81.89 67.94 67.94
Site moments in Bohr magnetons follow the coordinates.
Positions (direct):
Fe (0.500, 0.000, 0.500)  1.49
Fe (0.500, 0.500, 0.000)  1.49
Fe (0.000, 0.500, 0.000)  1.49
Fe (0.000, 0.000, 0.500)  1.49
Al (0.654, 0.346, 0.346)  -0.02
Al (0.346, 0.654, 0.654)  -0.02
Al (0.724, 0.776, 0.776)  -0.02
Al (0.500, 0.776, 0.224)  -0.02
Al (0.500, 0.224, 0.776)  -0.02
Al (0.000, 0.654, 0.346)  -0.02
Al (0.000, 0.346, 0.654)  -0.02
Al (0.276, 0.224, 0.224)  -0.02
Th (0.000, 0.000, 0.000)  -0.11

Values from the calculation:
- Mass density: 5.73 g/cm³
- N(E_F): 7.49 states/eV/cell
- Symmetry: I4/mmm (139)
- Total energy: -76.5 eV for the cell shown
- E_form: -9.33 kcal/mol of atoms



Entry 5:
Here is a relaxed structure of Ac2La5Pr6 from Alexandria. Energies are from PBE-GGA.

abc: 3.755 12.350 21.390
angles: 90.00 90.00 90.00
Positions (direct):
La (0.500, 0.000, 0.500)
La (0.500, 0.204, 0.946)
La (0.500, 0.296, 0.446)
La (0.500, 0.586, 0.283)
La (0.500, 0.086, 0.217)
La (0.500, 0.414, 0.717)
La (0.500, 0.500, 0.000)
La (0.500, 0.796, 0.054)
La (0.500, 0.914, 0.783)
La (0.500, 0.704, 0.554)
Ac (0.000, 0.671, 0.720)
Ac (0.000, 0.329, 0.280)
Ac (0.000, 0.171, 0.780)
Ac (0.000, 0.829, 0.220)
Pr (0.500, 0.314, 0.123)
Pr (0.000, 0.058, 0.075)
Pr (0.000, 0.428, 0.863)
Pr (0.500, 0.186, 0.623)
Pr (0.000, 0.072, 0.363)
Pr (0.000, 0.442, 0.575)
Pr (0.500, 0.814, 0.377)
Pr (0.000, 0.942, 0.925)
Pr (0.000, 0.558, 0.425)
Pr (0.500, 0.686, 0.877)
Pr (0.000, 0.928, 0.637)
Pr (0.000, 0.572, 0.137)

Values from the calculation:
- Mass density: 6.68 g/cm³
- N(E_F): 36.38 states/eV/cell
- Symmetry: Pbam (55)
- Total energy: -121.0 eV for the cell shown
- E_form: 1.84 kcal/mol of atoms



Entry 6:
Here is a relaxed structure of VTe from Alexandria. Energies are from PBE-GGA.

abc: 10.405 10.405 4.564
angles: 90.00 90.00 90.00
Site moments in Bohr magnetons follow the coordinates.
Positions (direct):
Te (0.776, 0.424, 0.500)  0.01
Te (0.079, 0.264, 0.000)  -0.01
Te (0.921, 0.736, 0.000)  -0.01
Te (0.264, 0.921, 0.000)  -0.01
Te (0.424, 0.224, 0.500)  0.01
Te (0.736, 0.079, 0.000)  -0.01
>>>

Here is a relaxed structure of Be3Au5 from Alexandria. Energies are from PBE-GGA.

abc: 2.927 2.927 13.386
angles: 90.00 90.00 90.00
Positions (direct):
Au (0.000, 0.000, 0.000)
Au (0.500, 0.500, 0.609)
Au (0.000, 0.000, 0.221)
Au (0.000, 0.000, 0.779)
Au (0.500, 0.500, 0.391)
Be (0.500, 0.500, 0.117)
Be (0.500, 0.500, 0.883)
Be (0.000, 0.000, 0.500)

Values from the calculation:
- Mass density: 14.65 g/cm³
- N(E_F): 1.23 states/eV/cell
- Symmetry: P4/mmm (123)
- Total energy: -28.7 eV for the cell shown
- E_form: -3.14 kcal/mol of atoms
- Distance to the lowest polymorph of the same formula: 0 meV/atom



Entry 2:
Here is a relaxed structure of CeSmThSn from Alexandria. Energies are from PBE-GGA.

abc: 5.485 5.485 5.485
angles: 60.00 60.00 60.00
Site moments in Bohr magnetons follow the coordinates.
Positions (direct):
Sn (0.250, 0.250, 0.250)  -0.01
Th (0.750, 0.750, 0.750)  0.25
Sm (0.500, 0.500, 0.500)  0.06
Ce (0.000, 0.000, 0.000)  0.62

Values from the calculation:
- Mass density: 9.12 g/cm³
- N(E_F): 8.89 states/eV/cell
- Symmetry: F-43m (216)
- Total energy: -22.7 eV for the cell shown
- E_form: -3.46 kcal/mol of atoms



Entry 3:
Here is a relaxed structure of FeHg2Ru from Alexandria. Energies are from PBE-GGA.

abc: 4.089 4.090 4.095
angles: 90.00 90.00 90.00
Site moments in Bohr magnetons follow the coordinates.
Positions (direct):
Fe (0.000, 0.500, 0.500)  3.01
Hg (0.000, 0.000, 0.000)  -0.02
Hg (0.500, 0.500, 0.000)  -0.02
Ru (0.500, 0.000, 0.500)  0.89

Values from the calculation:
- Mass density: 13.53 g/cm³
- N(E_F): 2.64 states/eV/cell
- Symmetry: P4/mmm (123)
- Total energy: -16.3 eV for the cell shown
- E_form: 11.71 kcal/mol of atoms
- Distance to the lowest polymorph of the same formula: 175 meV/atom



Entry 4:
Here is a relaxed structure of ThAl8Fe4 from Alexandria. Energies are from PBE-GGA.

abc: 5.038 6.707 6.707
angles: 81.89 67.94 67.94
Site moments in Bohr magnetons follow the coordinates.
Positions (direct):
Fe (0.500, 0.000, 0.500)  1.49
Fe (0.500, 0.500, 0.000)  1.49
Fe (0.000, 0.500, 0.000)  1.49
Fe (0.000, 0.000, 0.500)  1.49
Al (0.654, 0.346, 0.346)  -0.02
Al (0.346, 0.654, 0.654)  -0.02
Al (0.724, 0.776, 0.776)  -0.02
Al (0.500, 0.776, 0.224)  -0.02
Al (0.500, 0.224, 0.776)  -0.02
Al (0.000, 0.654, 0.346)  -0.02
Al (0.000, 0.346, 0.654)  -0.02
Al (0.276, 0.224, 0.224)  -0.02
Th (0.000, 0.000, 0.000)  -0.11

Values from the calculation:
- Mass density: 5.73 g/cm³